Both North and South were ill prepared for war in 1861. Initially dependent on volunteers, the Confederacy established a draft in 1862, and the Union did so the following year.…
The Old Man by the Sea was an exciting book with some sadness once you got toward the end. In The Old Man by the Sea it was a depressing story of a poor man that lived alone only knowing a young fourteen-year-old boy. The boy was forced to leave the old man because his parents made a decision to go with a fisher man that was constantly catching fish. But the boy didn’t want to leave the old man, he wanted to stay with the old man. On that eighty-fourth day the boy was of course unable to go with him but he was able to help the old man get ready to go out to sea by giving him coffee and sardines that morning. He also put the spear and nets in the boat for the old man. Since the old man decided to go further out than usual he was able to snag him fish although he did not know the great size of the fish he could tell this was his biggest fish he has ever hooked. The old man kept vigorously reeling the fish did not even let up a little bit. After a day and a half of sticking with the fish he finally was able to reel him in. On the way back home everything was fine except due to him having to spear the fish causing blood sharks were attracted to…
In The Old Man and the Sea, Santiago is challenged to fight his way through multiple forces. Him trying to overcome these obstacles are not just because of the threat to his survival. He does it for his own personal content and confidence. All throughout the book, the Old Man has to face the power of the Marlin, the sharks, the ocean, and his lack of energy. His peaceful fishing adventure changed to a not so happily ever after ending, unfortunately. Without breaking down these barriers one at a time, Santiago would never have been able to progress like he did. Though he did not end up bringing home the Marlin as proof, Santiago is motivated with his determination.…
It is my opinion that the one event had the most significant role in causing to the Revolutionary War was the Boston Tea Party. I believe this because of the following reasons: The Boston Tea Party caused the Intolerable Acts, colonist rebelled against their government, Boston Harbor was shut down.…
Blue marlins, a brag worthy catch among fishermen, prove to be worthy of being trophy fish. The reason blue marlins can be trophy fish is because of their great size. Something you could note is that all trophy fish are female. They usually weigh about 540-1800 kg, with the larger ones being used as the trophies. (Unknown author(s) Since they are large-game fish this means that they usually are caught with a team of fishermen, this shows Santiago’s strength and willpower in The Old Man and the Sea. The fact that most people use this as a trophy fish is another factor that led to the villagers regaining their respect of Santiago’s skill as a fisherman, which is why Hemingway would have used this particular fish rather than one of the many other fish in the sea.…
Nesbitt. Vol. 36. Detroit: Gale Group, 2000. Literature Resource Center. Web. 13 Jan. 2013. Baskett provides a detailed analysis of the symbolic detail in The Old Man and the Sea ranging from biblical allusions to Santiago’s aura of “strangeness”, which he says contributes to Hemingway’s “fifth dimensional prose”. He lists multiple examples of how Hemingway employs fifth dimensional prose like how Santiago is rarely often referred to as “Santiago” but prevalently more as “the old man” or analyzing the relationship between Santiago and Manolin. Furthermore and more importantly, he begins to describe the biblical allusions found in Hemingway’s novel. A large comparison he makes is between a passage in the bible and the symbolism of the lions in Santiago’s dreams. The passage can be summarized to be about normally antithetical and contradicting creatures that live and play in youth and peace in God’s “holy mountain” like a lion and an ox or a cow and a bear.…
Santiago is an old fisherman who lives in a small coast town in Cuba. At the time that Hemingway wrote the story, he was also an elderly gentlemen and was such an avid fisherman throughout his life, that books such as "Ernest Hemingway, The Angler As Artist" were written on the sole subject of how this obsession influenced Hemingway 's writing. Furthermore, he fished off the coast of Cuba so much that he decided to "buy the 'Finca Vigia ' in Cuba, a substantial estate located about fifteen miles from downtown Havana . . ." For entertainment Santiago would "read the baseball." Meanwhile Hemingway often "relied on baseball analogies" in his writing, suggesting that he also loved the game. These similarities between Santiago 's lifestyle and Hemingway 's cannot be ignored or passed off as coincidence because they are much too precise. Already, from these prominent identical traits it is evident that Hemingway modeled the character of Santiago after his own person.…
Through times of struggle, humans resort to memories and ideas to help them through the conflict. This is particularly true when it comes to the hardships of fishing. Santiago is at battle for many days with a large marlin where he becomes triumphant, although temporarily, he was not defeated. He uses memories of the boy and baseball to keep his mind of the pain that he was in to fulfill his duty as a fisherman. Using characterization, point of view and symbolism, youthful strength, courage, and love of nature is strongly demonstrated in Ernest Hemingway's novella The Old Man and the Sea.…
## Next to the text, the page also holds data records
- - -
Diffraction record for LiY5S8. The powder diffraction line list is calculated, not measured: it uses a cell relaxed with PBE and Cu Kα (λ = 1.5418 Å).
Kinematic intensities with the Lorentz-polarization factor, no thermal factor.

Atomic structure:
```
data_LiY5S8
_chemical_formula_sum 'Li2 Y10 S16'
_cell_length_a 8.298
_cell_length_b 8.298
_cell_length_c 8.366
_cell_angle_alpha 90.00
_cell_angle_beta 90.00
_cell_angle_gamma 90.00
_space_group_name_H-M_alt 'I -4'
_space_group_IT_number 82
_space_group_name_Hall 'I -4'
loop_
_atom_site_label
_atom_site_type_symbol
_atom_site_fract_x
_atom_site_fract_y
_atom_site_fract_z
Li1 Li 0.000 0.000 0.000
Y1 Y 0.000 0.500 0.750
Y2 Y 0.131 0.746 0.371
S1 S 0.070 0.683 0.052
S2 S 0.071 0.816 0.685
```

The 10 most intense peaks (10 to 90 degrees two-theta), sorted by position:
2θ/deg	intensity	h k l
15.1	30	1 1 0
26.2	29	1 1 2
26.3	45	2 1 1
33.9	39	1 0 3
34.2	100	1 3 0
40.5	40	1 2 3
40.6	46	3 2 1
49.0	26	4 0 2
51.5	19	2 3 3
69.8	15	3 5 2

----------

[1]
This entry pairs a crystal structure of Li5TaO5 with its calculated powder diffractogram. Radiation: Cu Kα X-rays. Structure: a DFT-relaxed cell (PBE, Alexandria).

Crystal structure
```
Li5TaO5
1.0
2.8688 -4.6710 0.0000
2.8688 4.6710 0.0000
-2.2812 0.0000 8.8086
Li Ta O
10 2 10
direct
0.0456 0.2735 0.5423 Li
0.1704 0.8296 0.7500 Li
0.2008 0.5486 0.9392 Li
0.2735 0.0456 0.0423 Li
0.4514 0.7992 0.5608 Li
0.5486 0.2008 0.4392 Li
0.7265 0.9544 0.9577 Li
0.7992 0.4514 0.0608 Li
0.8296 0.1704 0.2500 Li
0.9544 0.7265 0.4577 Li
0.4121 0.5879 0.2500 Ta
0.5879 0.4121 0.7500 Ta
0.0759 0.3001 0.0889 O
0.1722 0.5113 0.3928 O
0.3001 0.0759 0.5889 O
0.3865 0.6135 0.7500 O
0.4887 0.8278 0.1072 O
0.5113 0.1722 0.8928 O
0.6135 0.3865 0.2500 O
0.6999 0.9241 0.4111 O
0.8278 0.4887 0.6072 O
0.9241 0.6999 0.9111 O
```

The 10 most intense peaks (2θ = 10–90°), in order of rising 2θ:
4.774 Å, I 100; 4.637 Å, I 22; 4.404 Å, I 41; 4.127 Å, I 87; 3.653 Å, I 63; 2.937 Å, I 28; 2.779 Å, I 17; 2.690 Å, I 28; 2.188 Å, I 22; 2.121 Å, I 18



[2]
This entry pairs a crystal structure of La6Mg23P with its calculated powder diffractogram. Radiation: Cu Kα X-rays. Structure: a DFT-relaxed cell (PBE, Alexandria).

Crystal structure
```
La6Mg23P
1.0
0.0000 7.3081 7.3081
7.3081 0.0000 7.3081
7.3081 7.3081 0.0000
La Mg P
6 23 1
direct
0.2010 0.2010 0.7990 La
0.2010 0.7990 0.2010 La
0.2010 0.7990 0.7990 La
0.7990 0.2010 0.2010 La
0.7990 0.2010 0.7990 La
0.7990 0.7990 0.2010 La
0.0000 0.0000 0.5000 Mg
0.0000 0.5000 0.0000 Mg
0.0000 0.5000 0.5000 Mg
0.1347 0.6218 0.6218 Mg
0.1717 0.1717 0.1717 Mg
0.1717 0.1717 0.4848 Mg
0.1717 0.4848 0.1717 Mg
0.3782 0.3782 0.3782 Mg
0.3782 0.3782 0.8653 Mg
0.3782 0.8653 0.3782 Mg
0.4848 0.1717 0.1717 Mg
0.5000 0.0000 0.0000 Mg
0.5000 0.0000 0.5000 Mg
0.5000 0.5000 0.0000 Mg
0.5000 0.5000 0.5000 Mg
0.5152 0.8283 0.8283 Mg
0.6218 0.1347 0.6218 Mg
0.6218 0.6218 0.1347 Mg
0.6218 0.6218 0.6218 Mg
0.8283 0.5152 0.8283 Mg
0.8283 0.8283 0.5152 Mg
0.8283 0.8283 0.8283 Mg
- - -
In “ Old Man and The Sea “ by Ernest Hemingway Santiago is a poor old man that survives in life by fishing. With his wife dead and him never having kids he is the only person left in his family. For 84 days in a row Santiago goes without catching a single fish. This is a man that works to feed himself and he is not catching anything. Santiago is a hero like character. With the extreme dedication to his craft and masterful patience the type of person that Santiago is, is who everyone else would like to model himself after. While most strive for money and material goods Santiago represents something more powerful and unique.…
In The Old Man and the Sea, Santiago is challenged to fight his way through multiple forces. Him trying to overcome these obstacles are not just because of the threat to his survival, but also for his own personal content and confidence. All throughout the book, the Old Man has to face the power of the Marlin, the sharks and ocean, his own loneliness without the boy there with him, and his lack of energy. His peaceful fishing adventure changed to a not so happily ever after ending unfortunately. Without breaking down these barriers one at a time, Santiago would never have been able to progress like he did though, even if in the end he didn't end up bringing home the Marlin as proof.…
Misplaced records of crystals
********
Diffraction record for Mn7BiO12. The X-ray diffraction stick pattern is theoretical, not measured: it uses a DFT-relaxed cell (PBE+U, the Materials Project) and a wavelength of 1.5418 Å.

The 6 most intense peaks (2θ from 5° to 70°), low angle first:
two_theta  I_rel  (hkl)
16.54  66.2  1 1 0
33.02  39.2  0 0 2
33.41  100.0  2 2 0
33.47  70.5  2 2 -2
59.25  33.9  2 2 -4
59.68  28.1  6 2 -4

Structural model:
```
data_Mn7BiO12
_symmetry_space_group_name_H-M 'C 1 m 1'
_symmetry_Int_Tables_number 8
_symmetry_space_group_name_Hall 'C -2y'
_cell_length_a 10.743
_cell_length_b 7.522
_cell_length_c 7.625
_cell_angle_alpha 90.00
_cell_angle_beta 134.65
_cell_angle_gamma 90.00
loop_
_atom_site_label
_atom_site_fract_x
_atom_site_fract_y
_atom_site_fract_z
_atom_site_occupancy
Mn1 0.000 0.000 0.000 1
Mn2 0.004 0.000 0.499 1
Mn3 0.244 0.258 0.997 1
Mn4 0.251 0.251 0.494 1
Mn5 0.495 0.000 0.487 1
Bi1 0.468 0.000 0.985 1
O1 0.009 0.191 0.834 1
O2 0.165 0.500 0.848 1
O3 0.174 0.500 0.478 1
O4 0.197 0.173 0.685 1
O5 0.311 0.000 0.485 1
O6 0.320 0.320 0.326 1
O7 0.326 0.000 0.120 1
O8 0.485 0.308 0.159 1
```
********
Christian symbolism, especially images that refer to the crucifixion of Christ, is present throughout The Old Man and the Sea. Hemingway’s novel can be construed as an allusion to the Bible and the struggles of Jesus. Told simply and sparely, the contest between the old Cuban fisherman Santiago and a giant marlin is often seen as emblematic of human endurance and bravery against nearly overwhelming odds. 'A man can be destroyed but not defeated', Hemingway maintained. Santiago's story mirrors Christ's insofar as both men suffer greatly and it is, primarily, through the use of crucifixion imagery that Hemingway creates a symbolic parallel between Santiago and Christ, an analogy that elevates Santiago's trials.…
An example of this is when Santiago thought“She is kind and beautiful. But she can be cruel..” (Hemingway 29), Santiago is reflecting on how amazing and gorgeous the ocean is but to respect it and not take it for granted. Another example of Santiago respecting the sea is when he is reflecting in his boat about how the ocean is feminine and “...gave or withheld many great favours…” (Hemingway 30). Though Santiago respects the ocean, he does not respect the sharks saying: “‘Eat that galanoes. And make a dream you’ve killed a man.” (Hemingway…
"There is never a simple key to any writer worth much attention, but in the case of Hemingway there is something that looks so like a key that it cannot escape any informed and thoughtful reader's notice" (O'Conner 153). Ernest Hemingway was one such author. Very rarely did he summarize statements, therefore the only way to solve his puzzle was to take it apart and examine each components. One of the hidden elements that the reader must analyzie closely is the parallel between Santiago and Jesus Christ. In the novel, The Old Man and the Sea, Ernest Hemingway creates connections between Santiago and Jesus Christ that adds religious coloration to the story.…
The sea has played a prominent role in his life for many decades. Even is his younger years he spent time in the ocean, "But you went turtle-ing for years off the Mosquito Coast..." (P.14) He enjoyed the ocean in many ways, but the greatest attribute was fishing.Fishing is his favorite activity, and the sea is his platform, therefore, strengthing his love for the sea. This exhibits the concept that humans tend to like things or people based upon what they have to offer them. Santiago does not mearely "like" fishing, it was more of an obsession. Fishing is not a piece in his schuelde, rather, his life evoles around the sea. His entire life's purpose, or so he believes, involves the sea. "Perhaps I should not have been a fisherman, he thought. But that was the thing that I was born for." After eighty-four days of failure, he decides to adventure into the sea. He refuses to adapt to society and as a "strange man" (P.14 ) he remains using his outdated equipment and small skiff. With deication and perserverence, he set sail to regain meaning in his…
Heros are made and remember in many different ways, in The Old Man and the Sea by Earnest Hemingway an old man named Santiago show just how he is ideal everyman hero.…